Relieve PCOS With Supplements That Decrease Androgens

PCOS is a complicated syndrome, so there is no one-size-fits-all solution to cure PCOS symptoms. However, you can get relief from the sometimes debilitating symptoms by trying a few top natural remedies.

PCOS, or Polycystic Ovary Syndrome is a hormonal disorder centered in the body’s endocrine system. Endocrine imbalance can cause infertility and debilitating symptoms such as weight gain, pelvic pain, menstrual problems, unwanted hair growth, and more. Most of these issues happen when your hormonal system produces excess androgen.

Androgens are a natural part of any woman’s hormonal system, but too much androgens cause unwanted problems. Here is where natural remedies that reduce androgen excess can help relieve your PCOS symptoms.

• Calculated molecules, kept here for reference:
+++
(1)
The following is a DFT calculation (ωB97M-V/def2-TZVPD) of the molecule C7H5NOS at a distorted geometry.

Last column: Mulliken charge in e.
Geometry (Å):
C1 -1.8166 1.2104 -2.1972  -1.162
C2 -0.4212 0.6099 -2.2337  0.673
C3 0.1169 0.0714 -0.8293  0.293
C4 1.2847 -0.6051 -0.6606  -0.421
C5 1.5363 -0.9025 0.6552  -1.000
C6 0.5188 -0.5819 1.4432  0.422
C7 0.4215 -0.7476 2.8543  0.151
H1 -1.9835 1.9921 -1.5620  0.414
H2 -1.8342 1.5253 -3.4628  0.282
H3 -2.5574 0.2391 -1.8240  0.286
H4 1.8776 -0.7531 -1.5431  0.463
H5 2.1991 -1.4311 0.9030  0.757
N1 0.2330 -0.8687 4.0622  -0.496
O1 0.3613 0.5758 -3.1708  -0.543
S1 -0.7541 0.3484 0.6392  -0.119

Calculated values
* charge: 0
* Kohn-Sham gap: 8.9 eV
* M: 151.2 g/mol
* multiplicity: 1
* energy above the lowest of the compared OMol25 structures with the same formula, charge and spin: 428.7 kJ/mol


(2)
The following is a DFT calculation (ωB97M-V/def2-TZVPD) of C34H51BrN2NiP2 as an isolated structure at a distorted geometry.

Last column: Mulliken charge in e.
Geometry (Å):
C1 -0.5035 6.6356 -5.7303  -0.279
C2 -0.6664 5.2472 -6.0511  0.302
C3 -0.9757 4.9347 -7.3762  -0.568
C4 -1.1235 5.9699 -8.3161  -0.315
N1 -0.9734 7.2382 -7.9823  -0.532
C5 -0.6661 7.5857 -6.7334  -0.393
C6 -0.5101 4.1795 -5.0817  0.306
C7 -0.3951 3.6678 -3.9729  -0.780
C8 -0.5836 3.1031 -2.7223  0.855
C9 0.2170 3.1739 -1.5758  -1.413
C10 0.2747 1.9986 -0.8005  -1.091
C11 -0.7516 1.0277 -0.8896  2.634
C12 -1.1332 0.8038 -2.3004  1.026
C13 -1.4740 2.0325 -2.9103  -0.487
Ni1 -0.0455 0.0022 -4.0971  0.045
P1 1.5588 -0.9225 -1.5333  1.885
H1 -1.0796 3.9045 -7.6942  0.408
H2 -0.2240 6.9492 -4.7269  0.397
H3 -1.3628 5.7449 -9.3575  0.353
H4 -0.5378 8.6515 -6.5247  0.371
H5 -2.3529 2.1797 -3.5561  0.580
H6 0.7340 4.1174 -1.3329  0.530
H7 -1.4552 -0.1837 -2.7418  -1.343
H8 1.1021 1.9301 -0.0862  1.091
C14 2.1984 -2.5057 -0.7443  -0.709
C15 3.2863 -3.3633 -1.3886  -1.630
H9 1.2908 -3.1077 -0.5878  0.543
H10 2.5507 -2.1784 0.2517  0.492
H11 3.5270 -4.1826 -0.7004  0.435
H12 2.9838 -3.8171 -2.3347  0.262
H13 4.2114 -2.8093 -1.5499  0.304
C16 2.2427 -0.9564 -3.2754  -1.527
C17 2.8878 0.3244 -3.7616  -1.490
H14 1.4698 -1.2690 -3.9949  0.682
H15 2.9696 -1.7721 -3.2440  0.594
H16 3.0180 0.2810 -4.8499  0.399
H17 2.2784 1.2086 -3.5388  0.231
H18 3.8755 0.4637 -3.3120  0.337
C18 2.8471 0.1448 -0.6785  -0.708
C19 4.3127 -0.2644 -0.5982  -1.741
H19 2.4519 0.1990 0.3445  0.107
H20 2.7683 1.1477 -1.1049  0.543
H21 4.9109 0.5754 -0.2175  0.448
H22 4.4853 -1.0932 0.0948  0.363
H23 4.7528 -0.5491 -1.5587  0.284
Br1 -0.9579 -1.5819 0.5627  -0.459
P2 -2.2336 -2.6347 -3.3720  -0.198
C20 -0.5838 -3.2934 -3.0240  1.337
C21 -0.3865 -4.7111 -3.6074  -1.361
H24 -0.3948 -3.2908 -1.9307  -0.112
H25 0.1550 -2.6142 -3.4758  -0.603
H26 0.6759 -4.9298 -3.7846  0.384
H27 -0.7762 -5.4687 -2.9204  0.391
H28 -0.9280 -4.8329 -4.5532  0.361
C22 -3.2651 -2.2141 -1.9015  1.619
C23 -4.4216 -3.1773 -1.6196  -1.369
H29 -3.6731 -1.2091 -2.0675  0.075
+++

In order to successfully treat PCOS naturally, it’s important to practice getting in touch with your body and listen to what it is telling you. Learning to recognize your wellness and discomfort patterns will put you on the path to wellness.

Before we continue, it’s important to note there is not one test to verify PCOS and there is not one definitive solution to the syndrome.

Managing and controlling and curing PCOS is a very individual process.

The following list is not exhaustive but contains some of the best natural remedies for relieving PCOS symptoms. If you’re currently under a physician’s care or have questions about natural remedies, please consult with a qualified practitioner before using these remedies.

1. Reishi Mushrooms

Reishi mushrooms are medicinal mushrooms (not for cooking and not for getting high!) that have some amazing health benefits. They are among the most powerful members of the plant kingdom for PCOS because they’re anti-androgenic and reduce testosterone.

In addition to these healthful qualities, reishi also reduces all types of inflammation and regulates menstrual cycles. The result is boosted immunity, and added anti-cancer protection.

Reishi is most often taken in powder form, and it’s important to look for reishi powder made from the fruiting bodies of the mushroom plant – the part that contains the most medicinal value.

2. Ashwagandha

Ashwagandha is an Ayurvedic adaptogenic herb that has been used for thousands of years to resolve various health difficulties. Adaptogenic herbs relieve stress, one of the factors causing PCOS symptoms.

Ashwagandha is helpful for treating PCOS because it assists your body to process glucose by regulating the endocrine system and increasing insulin sensitivity.

Ashwagandha also benefits women with PCOS by:

  • boosting immunity
  • aiding sleep
  • helping balance sexual dysfunction that results from hormone imbalance
  • combating inflammation

3. Turmeric

PCOS sufferers benefit from turmeric’s active component, curcumin, which is nearly unsurpassed for counteracting not only inflammation, but also depression.

Turmeric is heart healthy, an important factor for PCOS suffers who are at risk of cardiovascular disease due to hormone imbalance.

The anti-inflammatory actions of turmeric help relieve pain. One of the most popular turmeric remedies these days is a calming turmeric golden tea beverage taken before bedtime to encourage good sleep. Note: If you’re avoiding dairy for PCOS substitute with plant-based milk like almond or oat milk.

If you take turmeric as a supplement, its bio-availability is enhanced (especially for women with PCOS metabolism issues) when it is combined with black pepper.

Hint: You can always add a little turmeric to your food when you are cooking (turmeric is what makes Indian curry yellow) and get an extra little punch of turmeric goodness every day.

4. Stinging Nettle Root

Stinging nettle root is another powerful herb for balancing the endocrine system. Nettle root contains plant compounds that decrease the levels of free testosterone in women with PCOS. When the levels of testosterone drop, so do uncomfortable PCOS symptoms, such as acne, unwanted hair growth, and irregular menstrual cycles.

NOTE: Although stinging nettle leaf also has great medicinal value, stinging nettle root is the one you want for treating PCOS.


Inositol is a vitamin-like compound that is sometimes referred to as “Vitamin B8” even though it’s not really a vitamin. It’s a substance that occurs naturally in foods that are rich in fiber such as beans, citrus fruits, brown rice, cantaloupe, among others.

Inositol is very effective in reducing androgen levels in women suffering from PCOS. It is calming, so it helps to minimize stress and anxiety. Because it can cause drowsiness, it should be taken at night before bed. Inositol helps preserve fertility and can be a game-changer, if used along with other lifestyle and dietary adjustments.

Inositol comes in various forms and can reverse PCOS symptoms, such as irregular periods and cravings for sugar/overeating in general.